
perl-aol / News: Recent posts

perl-aol version 0.0.4 is Released

This is to announce perl-aol version 0.0.4.

Information links:

Main perl-aol summary page:

Discussion forums:

The Code:

Some example/testing scripts (I use these to find out if perl-aol is working): read more

Posted by Jim Lynch 2002-12-07

perl-aol lives again!!

I had to do it...

_These records of crystals were left in the text by mistake_
____________
# 1
A plane-wave DFT calculation with PBE-GGA was carried out for a geometry-optimized Cs5AuCl2O structure.

Cell lengths 4.7001, 11.6013, 14.6819 Å; angles 90.00, 90.00, 101.69 degrees
Fractional positions:
Cs 0.8818 0.7636 0.5332
Cs 0.3574 0.7148 0.9518
Cs 0.6426 0.2852 0.4518
Cs 0.4912 0.9823 0.2622
Cs 0.5088 0.0177 0.7622
Cs 0.1182 0.2364 0.0332
Cs 0.2496 0.4992 0.6356
Cs 0.2810 0.5620 0.3729
Cs 0.7190 0.4380 0.8729
Cl 0.8796 0.7593 0.2732
Au 0.5058 0.0115 0.0157
Au 0.4942 0.9885 0.5157
Cs 0.7504 0.5008 0.1356
Cl 0.8618 0.7237 0.7721
O 0.7584 0.5169 0.5073
Cl 0.1204 0.2407 0.7732
O 0.2416 0.4831 0.0073
Cl 0.1382 0.2763 0.2721

Summary:
The volume comes out at 43.6 A^3/atom. The formation energy from raw total energies is -11.0 eV per formula unit. Its space group is No. 36. The total energy comes out at -0.1111 Ha/atom.


# 2
A plane-wave DFT calculation with PBE-GGA was carried out for a geometry-optimized Cs2AuCl6O structure.

Cell lengths 6.9151, 6.9151, 7.4866 Å; angles 62.49, 62.49, 90.00 degrees
Fractional positions:
Cs 0.2500 0.7500 0.5000
Au 0.0000 0.0000 0.0000
Cs 0.7500 0.2500 0.5000
Cl 0.2069 0.2069 0.5861
Cl 0.7319 0.7319 0.0000
O 0.5000 0.5000 0.0000
Cl 0.7319 0.2681 0.0000
Cl 0.2681 0.7319 0.0000
Cl 0.7931 0.7931 0.4139
Cl 0.2681 0.2681 0.0000

Summary:
The volume comes out at 27.1 A^3/atom. The formation energy from raw total energies is -7.3 eV per formula unit. For the density of states at the Fermi level, the calculation gives 2.639 states/eV/f.u. Its space group is No. 139. The total energy comes out at -0.1040 Ha/atom.


# 3
A plane-wave DFT calculation with PBE-GGA was carried out for a geometry-optimized Cs4AuClO structure.

Cell lengths 8.3949, 8.0218, 10.1888 Å; angles 90.00, 108.05, 90.00 degrees
Fractional positions:
O 0.7526 0.2500 0.6774
Cs 0.5532 0.2500 0.4212
Au 0.7466 0.7500 0.9456
Au 0.2534 0.2500 0.0544
Cs 0.0219 0.9928 0.2662
O 0.2474 0.7500 0.3226
Cl 0.2206 0.2500 0.5621
Cs 0.4206 0.7500 0.1424
Cs 0.9781 0.0072 0.7338
Cs 0.0219 0.5072 0.2662
Cs 0.4468 0.7500 0.5788
Cs 0.5794 0.2500 0.8576
Cs 0.9781 0.4928 0.7338
Cl 0.7794 0.7500 0.4379

Summary:
The volume comes out at 46.6 A^3/atom. The formation energy from raw total energies is -7.4 eV per formula unit. For the density of states at the Fermi level, the calculation gives 0.000 states/eV/f.u. Its space group is No. 11. The total energy comes out at -0.1100 Ha/atom.


# 4
A plane-wave DFT calculation with PBE-GGA was carried out for a geometry-optimized Cs6AuCl2O structure.

Cell lengths 8.5249, 8.5246, 9.2522 Å; angles 62.56, 62.56, 59.99 degrees
Fractional positions:
Cs 0.1400 0.3959 0.7776
Cs 0.2359 0.9763 0.2317
O 0.3287 0.3286 0.0140
Cs 0.9762 0.5562 0.2317
Au 0.8155 0.8153 0.5536
Cs 0.5560 0.2358 0.2319
Cs 0.6866 0.1401 0.7775
Cl 0.0050 0.0051 0.9850
Cs 0.3960 0.6866 0.7774
Cl 0.5217 0.5216 0.4348

Summary:
____________

I spent a week tracking down the reference counting problem, and found it in Aolserver::Ns_Set. All the test scripts run, so I'll be continuing along the original path, with two additions:

First, I think my idea of going into the perl infrastructure for one of aolserver's data structures and protecting that by altering the perl linkage is flawed. So, I will be introducing ownership flags for every instance, such that if not owned, perl will not attempt to destroy or free the aolserver data structure itself.... read more

Posted by Jim Lynch 2002-12-03

Announce: perl-aol 0.0.3 is released (one-make builds)


With this release, perl-aol can be built with one make invocation after
editing a newly created top-level makefile.

Details in the README :)


Posted by Jim Lynch 2000-12-02

Announce: perl-aol, adding perl capability to aolserver

Aolserver, the fast, threadded web server that has database capability built into the API only has TCL as a scripting language (and I think python too).

perl-aol is my project that adds perl capability to aolserver. Using perl, you can: send content to the browser, search (i.e., regex) through any other web page (maybe to get, say, the population of the US or to find a monetary exchange rate), look at the header lines the browser sent to the server, write an HTML page on the fly using data from any of these sources, and more.... read more

Posted by Jim Lynch 2000-11-27

Database access well on the way


After working for about a week with i2wild (on for many long hours, we have determined that the next major extension to the base layer of perl-aol is nearing testability stage.

I have now found the annoying bug that segfaulted the server. Not the fault of the core glue code itself, my test script tried to select from a nonexistant table, and then did not check the result codes of methods that might have mentioned there was a problem :) Oh well... live, learn and code some more...... read more

Posted by Jim Lynch 2000-11-21

I need testers!

Hi, I need people to try the build of perl-aol and comment on it.

It's a fairly involved build, not just type make and go... among other things, you have to build aolserver and a special perl. Also, aolserver isn't too easy to configure.

Still, it seems worth it given its speed and features.

If you haven't tried aolserver before, I encourage you to do so... build just aolserver and try to get it going. See if you can build the PostgreSQL driver for aolserver, and use the database from aolserver.... read more

Posted by Jim Lynch 2000-11-04

perl-aol builds on openbsd (but has unknown instabilities)

Today, dsm ( built perl-aol on openbsd-current (perl-aol was developed in linux) and he used aolserver 3.2, which is the latest.

(his note is in the perl-aol general discussion forum.)

I was hoping for a report of this nature, so I'm now beginning to experiment with the use of aolserver's database pools.

As always, you can find docs on aolserver directly on their (very useful) site,... read more

== Attached: crystal structures ==
********
Record 1
Ni2SnW2 | GGA-PBE | optimized geometry

Cell lengths 3.702, 3.702, 11.968 Å; angles 90.00, 90.00, 90.00 degrees
Space group I4/mmm (No. 139)
One atom of each set of equivalent atoms:
Ni (0.000, 0.000, 0.098)
Sn (0.000, 0.000, 0.500)
W (0.000, 0.500, 0.250)

## Properties
- calculated total energy (eV per atom) = -7.855
- M_tot (μB per cell) = 0.000
- energy above the lowest structure with this stoichiometry (meV/atom) = 120


Record 2
DyY4P5 | GGA-PBE | optimized geometry

Cell lengths 4.014, 5.672, 20.058 Å; angles 90.00, 90.00, 90.00 degrees
Space group Immm (No. 71)
One atom of each set of equivalent atoms:
Dy (0.000, 0.000, 0.000)
Y (0.000, 0.000, 0.200)
Y (0.000, 0.000, 0.400)
P (0.000, 0.500, 0.000)
P (0.000, 0.500, 0.200)
P (0.000, 0.500, 0.400)

## Properties
- calculated total energy (eV per atom) = -7.377
- M_tot (μB per cell) = 0.000


Record 3
TlTcRhS3 | GGA-PBE | optimized geometry

Cell lengths 7.810, 3.414, 10.060 Å; angles 90.00, 107.08, 90.00 degrees
Space group P2_1/m (No. 11)
One atom of each set of equivalent atoms:
Tl (0.036, 0.250, 0.223)
Tc (0.477, 0.250, 0.882)
Rh (0.444, 0.750, 0.641)
S (0.255, 0.250, 0.671)
S (0.312, 0.250, 0.035)
S (0.357, 0.750, 0.391)

## Properties
- calculated total energy (eV per atom) = -5.808
- M_tot (μB per cell) = 0.000
- formation energy without anion corrections (meV per atom) = -397


Record 4
Mn2IBr | GGA-PBE | optimized geometry

Cell lengths 7.015, 7.015, 7.015 Å; angles 90.00, 90.00, 90.00 degrees
Space group Fm-3m (No. 225)
One atom of each set of equivalent atoms:
Mn (0.250, 0.250, 0.250)
I (0.000, 0.000, 0.000)
Br (0.000, 0.000, 0.500)

## Properties
- calculated total energy (eV per atom) = -4.964
- M_tot (μB per cell) = 33.080
- formation energy without anion corrections (meV per atom) = 427


Record 5
ZrPaGa2 | GGA-PBE | optimized geometry

Cell lengths 3.152, 3.152, 8.149 Å; angles 90.00, 90.00, 90.00 degrees
Space group P4/mmm (No. 123)
One atom of each set of equivalent atoms:
Zr (0.000, 0.000, 0.000)
Pa (0.000, 0.000, 0.500)
Ga (0.500, 0.500, 0.237)

## Properties
- calculated total energy (eV per atom) = -6.409
- M_tot (μB per cell) = 0.531
- energy above the lowest structure with this stoichiometry (meV/atom) = 0


Record 6
Tb6Sm12Cd | GGA-PBE | optimized geometry

Cell lengths 12.0005, 12.0005, 15.1471 Å; angles 90.00, 90.00, 120.00 degrees
Space group R-3 (No. 148, hexagonal axes)
One atom of each set of equivalent atoms:
Tb (0.0223, 0.5918, 0.1902)
Sm (0.0075, 0.8302, 0.3133)
Sm (0.0472, 0.1987, 0.9154)
Cd (0.0000, 0.0000, 0.5000)

## Properties
- calculated total energy (eV per atom) = -4.392
- M_tot (μB per cell) = 0.002
- energy above the lowest structure with this stoichiometry (meV/atom) = 0

~~~~~

Entry 1:
{
  "formula": "La3NdPd2",
  "functional": "PBE",
  "state": "relaxed",
  "mass_density_g_cm3": 7.1,
  "lattice_angstrom": [[7.142, 0.000, 0.000], [-3.571, 6.304, -2.002], [0.000, -0.012, 8.053]],
********

Posted by Jim Lynch 2000-11-04